<<<
# 1
This record from the OMol25 dataset describes C20H22F2N2O5S in the gas phase at a distorted geometry. The level of theory is ωB97M-V with the def2-TZVPD basis set.

Properties
Electronic energy (eV): -50585.4041
Largest force on an atom (eV/Å): 1.2
SMILES string: CCN(CC)S(=O)(=O)c1ccc(C(=O)NCCOC(=O)c2ccc(F)cc2F)cc1
Lowest unoccupied orbital energy (eV): 0.18
HOMO energy (eV): -9.30
Energy relative to the best compared isomer or geometry (same formula, charge and spin) (eV): 0.1166

Element x y z (Å)
C: -4.8548 -0.1371 2.2257
C: -5.4809 -0.9342 1.0809
N: -4.5304 -1.5353 0.1817
C: -3.7983 -2.7236 0.5380
C: -2.4925 -2.4590 1.2890
S: -4.2879 -0.8628 -1.3085
O: -3.8263 -1.8913 -2.1950
O: -5.4572 -0.1110 -1.6579
C: -2.9393 0.2940 -1.0479
C: -3.2118 1.5577 -0.5601
C: -2.1635 2.4239 -0.3087
C: -0.8484 2.0216 -0.5329
C: 0.2364 3.0129 -0.2491
O: 0.0594 4.2119 -0.3303
N: 1.4104 2.4698 0.1536
C: 2.6044 3.2600 0.3189
C: 3.5886 2.9967 -0.8255
O: 3.8802 1.6019 -0.8890
C: 4.9642 1.1601 -0.2511
O: 5.7731 1.8613 0.2991
C: 5.0746 -0.3254 -0.3210
C: 6.3405 -0.9024 -0.2376
C: 6.5074 -2.2713 -0.2939
C: 5.3841 -3.0727 -0.4230
F: 5.5306 -4.4030 -0.4777
C: 4.1070 -2.5431 -0.4867
C: 3.9718 -1.1686 -0.4363
F: 2.7261 -0.6622 -0.4622
C: -0.5927 0.7561 -1.0566
C: -1.6445 -0.1069 -1.3139
H: -4.3986 -0.7967 2.9591
H: -5.6267 0.4429 2.7251
H: -4.0960 0.5432 1.8470
H: -6.1308 -1.7172 1.4895
H: -6.0894 -0.2753 0.4594
H: -3.5766 -3.2317 -0.4029
H: -4.4489 -3.3689 1.1373
H: -2.6784 -2.0262 2.2675
H: -1.8625 -1.7769 0.7240
H: -1.9597 -3.3971 1.4233
H: -4.2386 1.8498 -0.4070
H: -2.3396 3.4231 0.0599
H: 1.5312 1.4694 0.1343
H: 2.3061 4.3104 0.3145
H: 3.0801 3.0146 1.2736
H: 4.5141 3.5592 -0.6732
H: 3.1368 3.2509 -1.7860
H: 7.1897 -0.2459 -0.1285
H: 7.4842 -2.7230 -0.2371
H: 3.2424 -3.1813 -0.5710
H: 0.4140 0.4443 -1.2923
H: -1.4831 -1.0855 -1.7385

***

# 2
This record from the OMol25 dataset describes C20H22N11PRu as an isolated structure at a distorted geometry. The level of theory is ωB97M-V with the def2-TZVPD basis set.

Properties
Electronic energy (eV): -49340.4520
Largest force on an atom (eV/Å): 1.8
Lowest unoccupied orbital energy (spin up / spin down) (eV): -10.25 / -10.23
Charge: +2
HOMO energy (spin up / spin down) (eV): -15.20 / -15.22
Energy relative to the best compared isomer or geometry (same formula, charge and spin) (eV): 0.3465

Element x y z (Å)
Ru: 0.6840 -0.7374 0.9643
N: 2.2450 2.0779 2.0473
C: 1.4559 1.4420 2.9318
N: 1.2316 1.8335 4.1915
N: 0.3920 0.9558 4.6708
N: 0.0899 0.0413 3.7532
N: 0.7505 0.3190 2.6534
C: 2.4398 1.6943 0.7608
N: 3.1739 2.3667 -0.1217
N: 3.0739 1.6810 -1.2372
N: 2.3127 0.6177 -1.0656
N: 1.8933 0.5999 0.1834
H: 2.7175 2.9280 2.3577
C: 3.0671 -4.0064 -2.7873
C: 2.1834 -3.5808 -1.6725
C: 1.3946 -4.3384 -0.7951
C: 0.7652 -3.4220 0.0220
N: 1.1424 -2.1726 -0.3176
N: 2.0155 -2.2970 -1.3416
C: -0.2048 -3.5276 1.1567
H: 2.4702 -4.4535 -3.5823
H: 3.7699 -4.7606 -2.4353
H: 3.6269 -3.1675 -3.1954
H: 1.3127 -5.4114 -0.7755
H: 2.3757 -1.4574 -1.7823
H: -1.2308 -3.6403 0.8060
H: -0.1736 -2.6288 1.8187
H: 0.0176 -4.3634 1.8178
C: -2.5868 -0.3304 1.5181
P: -1.2920 0.3870 0.4945
C: -1.6896 0.1336 -1.2279
C: -2.1052 1.2018 -2.0280
C: -2.4891 0.9684 -3.3393
C: -2.4630 -0.3195 -3.8538
C: -2.0629 -1.3874 -3.0567
C: -1.6793 -1.1634 -1.7487
C: -1.0664 2.1142 0.8772
C: -0.2778 2.9312 0.0601
C: -0.0597 4.2523 0.4143
C: -0.6156 4.7620 1.5833
C: -1.3960 3.9538 2.4004
C: -1.6262 2.6321 2.0507
H: -3.4921 0.2592 1.3549
H: -2.3180 -0.3413 2.5738
H: -2.7727 -1.3526 1.1872
H: -2.1530 2.2057 -1.6303
H: -2.8174 1.7937 -3.9558
H: -2.7653 -0.4947 -4.8775
H: -2.0614 -2.3915 -3.4579
H: -1.3799 -2.0068 -1.1357
H: 0.1594 2.5478 -0.8557
H: 0.5403 4.8850 -0.2265
H: -0.4452 5.7960 1.8523
H: -1.8328 4.3514 3.3061
H: -2.2439 2.0204 2.6950

***

# 3
This record from the OMol25 dataset describes C20H22N2O2S3Ti as an isolated structure. The level of theory is ωB97M-V with the def2-TZVPD basis set.

Properties
Electronic energy (eV): -83790.9824
>>>

Say how many lines of the material further above hold the word "cc2F", as a bare number.

1